As Hurricane Ike made its way along Cuba, we got some strong east winds in this part of Florida. All the rain was quite a ways south of us, so we were guaranteed great summer sailing conditions with no thunderstorms. We decided to sail to the reservoir dam about a mile up Shell Creek from our neighborhood boat ramp. The creek runs more or less east-west, so we would be beating upwind in our Hobie Adventure Island trimaran sailing kayaks. I shot this video of our tacking duel up the creek:
The Hobie Adventure Island is well suited to sailing upwind in a tight creek because of the Mirage Drive pedal power system. The wind swirls around the corners of the creek and there are relatively calm patches, even with the strong prevailing winds caused by the hurricane. In the calm places and when tacking, a few pumps with the Mirage Drive allow the boat to maintain speed. Greg Ketterman is a genius. In addition to designing a great many boats, he has made the paddle obsolete.
**Calculated crystals that have nothing to do with the entry**
+++
[1]
This entry pairs a crystal structure of Mg15Cr with its simulated powder diffractogram. Radiation: Cu Kα X-rays. Structure: a crystal structure in the Materials Project, relaxed with PBE.
Peak positions follow from Bragg's law for the DFT cell and can differ from measured ones.

Atomic structure:
Cell: 6.350 6.350 10.215 Å, 90.00 90.00 120.00°
Element x y z (fractional)
1 Mg 0.000 0.000 0.000
2 Mg 0.000 0.500 0.000
3 Mg 0.000 0.500 0.500
4 Mg 0.165 0.330 0.253
5 Mg 0.165 0.330 0.747
6 Mg 0.165 0.835 0.253
7 Mg 0.165 0.835 0.747
8 Mg 0.500 0.000 0.000
9 Mg 0.500 0.000 0.500
10 Mg 0.500 0.500 0.000
11 Mg 0.500 0.500 0.500
12 Mg 0.667 0.333 0.249
13 Mg 0.667 0.333 0.751
14 Mg 0.670 0.835 0.253
15 Mg 0.670 0.835 0.747
16 Cr 0.000 0.000 0.500

Top 10 peaks for 2θ = 15–90°, by angle:
- 2θ = 18.3°, 4.842 Å, I 4
- 2θ = 32.6°, 2.750 Å, I 24
- 2θ = 35.1°, 2.554 Å, I 26
- 2θ = 37.1°, 2.421 Å, I 100
- 2θ = 48.7°, 1.871 Å, I 15
- 2θ = 58.1°, 1.588 Å, I 17
- 2θ = 64.4°, 1.447 Å, I 18
- 2θ = 69.8°, 1.348 Å, I 19
- 2θ = 71.0°, 1.328 Å, I 13
- 2θ = 79.1°, 1.211 Å, I 3


[2]
This entry pairs a crystal structure of Te7O6F30 with its simulated powder diffractogram. Radiation: Cu Kα X-rays. Structure: a crystal structure in the Materials Project, relaxed with PBE.
Peak positions follow from Bragg's law for the DFT cell and can differ from measured ones.

Atomic structure:
Cell: 10.771 10.771 10.771 Å, 50.12 50.12 50.12°
Element x y z (fractional)
1 Te 0.000 0.000 0.000
2 Te 0.081 0.392 0.768
3 Te 0.232 0.919 0.608
4 Te 0.392 0.768 0.081
5 Te 0.608 0.232 0.919
6 Te 0.768 0.081 0.392
7 Te 0.919 0.608 0.232
8 O 0.050 0.757 0.076
9 O 0.076 0.050 0.757
10 O 0.243 0.924 0.950
11 O 0.757 0.076 0.050
12 O 0.924 0.950 0.243
13 O 0.950 0.243 0.924
14 F 0.053 0.459 0.367
15 F 0.089 0.479 0.091
16 F 0.091 0.089 0.479
17 F 0.099 0.785 0.750
18 F 0.198 0.541 0.621
19 F 0.215 0.250 0.901
20 F 0.250 0.901 0.215
21 F 0.253 0.267 0.622
22 F 0.267 0.622 0.253
23 F 0.367 0.053 0.459
24 F 0.378 0.747 0.733
25 F 0.379 0.802 0.459
26 F 0.459 0.367 0.053
27 F 0.459 0.379 0.802
28 F 0.479 0.091 0.089
29 F 0.521 0.909 0.911
30 F 0.541 0.621 0.198
31 F 0.541 0.633 0.947
32 F 0.621 0.198 0.541
33 F 0.622 0.253 0.267
34 F 0.633 0.947 0.541
35 F 0.733 0.378 0.747
36 F 0.747 0.733 0.378
37 F 0.750 0.099 0.785
38 F 0.785 0.750 0.099
39 F 0.802 0.459 0.379
40 F 0.901 0.215 0.250
41 F 0.909 0.911 0.521
42 F 0.911 0.521 0.909
43 F 0.947 0.541 0.633

Top 10 peaks for 2θ = 15–90°, by angle:
- 2θ = 18.9°, 4.697 Å, I 23
- 2θ = 19.5°, 4.562 Å, I 12
- 2θ = 21.7°, 4.104 Å, I 100
- 2θ = 27.2°, 3.273 Å, I 28
- 2θ = 34.0°, 2.635 Å, I 11
- 2θ = 34.7°, 2.582 Å, I 20
- 2θ = 39.2°, 2.297 Å, I 22
- 2θ = 40.7°, 2.217 Å, I 10
- 2θ = 49.4°, 1.844 Å, I 10
- 2θ = 52.2°, 1.753 Å, I 21

----------

Computed PXRD pattern of Li2VP3O10 for a wavelength of 1.5418 Å, from a crystal structure in Alexandria, relaxed with PBE+U.
Lines closer than 0.1° are merged.

Most intense lines, 10° ≤ 2θ ≤ 90°, most intense first:
+++
On most trips in the Adventure Island, I use my paddle only to back up and to scrape the telltales off the sail when they get stuck. In no-wind conditions, it is easy to pedal the Adventure Island at 2 knots. Paddling it at that speed requires a lot of effort. For a graphic demonstration of the power of the Mirage Drive, watch the video of a Mirage Drive equipped kayak towing first one and then two Olympic paddlers backwards in a tug-of-war.
No More Paddles
It's amazing to see the long-time king of small boat propulsion, the venerable paddle, rendered obsolete. I had seen little pedal drives using propellers and paddle wheels on various boats, but all were slow, cumbersome, and prone to maintenance problems, especially in salt water. A paddle was just all-around better, and the main reason was power. Now we have a durable and powerful drive unit that can propel kayaks to much higher cruising speeds with less effort, virtually no noise, and best of all, hands-free. It can stand up to salt water use, and while it is not as reliable as a paddle, failures are rare.
Combining the power of the Mirage Drive with the 57.5-square-foot sail on the Adventure Island trimaran makes for a very speedy kayak. As you can see in the video, the carbon fiber mast flexes in gusts, spilling wind off the top of the sail and depowering itself without any adjustment of the mainsheet. We were sailing at 3 to 4 knots upwind, and even though we were fighting a bit of current, we could make good progress.
Powering Through Tacks With the Mirage Drive
A great part of that progress is due to the use of the Mirage Drive when tacking the boat, which allows us to simply steer through a tack with very little loss of speed. The boat gets established on the new tack with 2.5 knots of speed, and will accelerate under sail. If you happen to tack into a lull, just keep pedaling until you get back into the wind.
It is usually easy to see the calm spots where the wind is coming around a corner. Just look for the smooth water and avoid it. Toward the end of the video above, that became impossible. We were approaching the dam, and the wind was blowing unrestricted across the reservoir and then continuing straight across as the water fell a few feet down to our level in the creek below. The surface of the water was completely glassy, but we were sailing in enough wind to almost bury the lee ama in the gusts. It was impossible to tell how it was swirling down the edges of the creek, so tacking at the edge could land you in a little calm spot, then the current could carry you backwards into the shore.
I would have been reluctant to sail the way we did, tacking right at the edges of the creek, without the Mirage Drive. It is possible to tack the Adventure Island without the Mirage Drive, but if you misjudge the maneuver or get unlucky with the wind, the boat can stall in irons and lose a lot of ground in the recovery process. A few strokes with the Mirage Drive makes every tack go so smoothly that it feels like cheating!
The Downwind Run
Since it did not really feel like "working" our way upwind as in a conventional sailboat, having cheated our way upwind we got to enjoy the downwind run back to the boat ramp:
The GPS shows that I had the boat running at 5.1 knots, with acceleration to a sustained 5.4 knots. There was about half a knot of current helping us along, and we averaged over 5 knots the whole way back. A couple of times my GPS was showing speeds above 6 knots, and I almost caught it in the second video clip, but by the time I got the GPS up to the camera, it was showing 5.8 knots and falling. I decided to try to gain back some speed by turning onto a reach, but did so a bit soon.
The noises toward the end of the video are my daggerboard hitting clam shells in the mud as I cut a little too close to a shallow point. Fortunately, the mud is soft and Adventure Island daggerboards are much stronger than they look, so my board was not damaged.
It was a pretty quick trip back to the ramp, and we considered sailing some more, but decided we had had our fun, sailed fast in the gusty winds on the edge of Hurricane Ike without breaking anything, and should not push our luck. A quick afternoon sail is easy to justify in a boat as easy to trailer and rig as an Adventure Island. A few minutes later we had the boats on the trailer, masts down, and were on our way back to the house.
I used to have a canoe and we even had triathlons here in SA with canoe iaetsnd of swimming years ago. Not any more and I miss it. Take care with the gun!